_File_
~~~
1.
C5H20FO5V | ωB97M-V/def2-TZVPD

Last column: Löwdin spin population.
CARTESIAN COORDINATES (ANGSTROEM)
V (1.25, 0.42, -3.19)  3.109
F (1.00, -0.50, -0.57)  -0.111
C (3.99, -3.88, 1.48)  0.042
O (2.56, -3.82, 1.60)  0.221
H (4.42, -3.84, 2.48)  0.015
H (4.33, -4.84, 1.10)  0.021
H (4.24, -3.09, 0.77)  0.000
H (2.29, -3.15, 0.96)  0.000
C (-2.67, -1.58, -3.14)  0.000
O (-1.97, -0.73, -4.05)  0.001
H (-3.35, -1.00, -2.51)  0.000
H (-3.17, -2.37, -3.71)  0.000
H (-1.95, -2.05, -2.48)  0.000
H (-2.53, -0.65, -4.82)  0.000
C (2.10, 3.55, 1.49)  0.037
O (0.94, 3.17, 2.18)  0.163
H (1.84, 4.31, 0.76)  0.018
H (2.65, 4.18, 2.19)  0.014
H (2.70, 2.72, 1.11)  0.000
H (0.72, 2.25, 2.00)  0.000
C (-1.73, -1.45, 3.19)  0.068
O (-0.69, -0.56, 3.06)  0.340
H (-2.53, -0.80, 3.52)  0.019
H (-2.03, -1.76, 2.19)  0.005
H (-1.50, -2.27, 3.88)  0.035
H (-0.22, -0.80, 2.26)  0.000
C (-1.94, 3.02, -1.62)  0.000
O (-0.99, 2.81, -2.65)  0.002
H (-2.87, 2.65, -2.05)  0.000
H (-1.64, 2.54, -0.69)  0.000
H (-2.18, 4.06, -1.40)  0.000
H (-1.07, 3.47, -3.34)  0.000

The total charge is +2. Its expectation value of S² is 6.061. As for the multiplicity: 5. Its energy relative to the best compared isomer or geometry (same formula, charge and spin) is 830.1 kJ/mol. For the total energy, the calculation gives -44124.739 eV. The strongest force on any atom is 0.064 hartree/bohr.

2.
C5H20IN10O5 | ωB97M-V/def2-TZVPD

Last column: Löwdin charge in e.
CARTESIAN COORDINATES (ANGSTROEM)
I (-0.79, 0.56, -0.64)  0.077
C (-0.12, 0.29, 3.95)  -0.807
O (0.18, 0.36, 5.12)  0.023
N (-1.20, -0.19, 3.42)  0.163
N (0.62, 0.91, 3.03)  0.154
H (-1.82, -0.67, 4.06)  0.120
H (-1.14, -0.42, 2.44)  0.036
H (1.31, 1.59, 3.34)  0.116
H (0.26, 0.85, 2.09)  -0.018
C (0.77, -3.33, 1.01)  -0.837
O (0.84, -3.50, -0.18)  0.060
N (0.31, -2.31, 1.65)  0.149
N (1.02, -4.17, 1.92)  0.152
H (0.17, -1.52, 1.03)  -0.011
H (0.42, -2.24, 2.65)  0.105
H (1.14, -5.14, 1.68)  0.126
H (0.72, -3.93, 2.86)  0.114
C (-1.79, -2.72, -3.20)  -0.837
O (-2.36, -3.45, -3.90)  0.063
N (-0.56, -2.30, -3.25)  0.177
N (-2.49, -2.24, -2.18)  0.133
H (-0.34, -1.90, -2.35)  0.018
H (0.10, -2.86, -3.78)  0.120
H (-3.42, -2.58, -1.96)  0.109
H (-2.13, -1.43, -1.70)  -0.092
C (-1.59, 5.24, 0.75)  -0.831
O (-2.14, 6.09, 1.39)  0.017
N (-1.96, 3.99, 0.73)  0.175
N (-0.50, 5.56, 0.13)  0.158
H (-2.70, 3.67, 1.35)  0.120
H (-1.50, 3.34, 0.11)  -0.020
H (-0.36, 6.56, 0.10)  0.117
H (0.01, 4.88, -0.41)  0.108
C (3.03, 0.36, -2.97)  -0.860
O (4.01, 0.42, -3.66)  0.025
N (2.88, 1.20, -2.04)  0.159
N (2.07, -0.50, -2.97)  0.174
H (2.11, 1.26, -1.39)  0.032
H (3.71, 1.79, -1.97)  0.121
H (1.20, -0.44, -2.47)  -0.017
H (2.05, -1.11, -3.77)  0.108

The total charge is -1. Its energy relative to the best compared isomer or geometry (same formula, charge and spin) is 330.2 kJ/mol. For the total energy, the calculation gives -38754.855 eV. The strongest force on any atom is 0.173 hartree/bohr.

3.
C5H20KO5 | ωB97M-V/def2-TZVPD

Last column: Löwdin charge in e.
CARTESIAN COORDINATES (ANGSTROEM)
K (-0.27, 0.29, 0.96)  0.886
C (-1.41, -3.01, -0.44)  -0.144
O (-0.80, -2.54, 0.74)  -0.173
H (-2.48, -2.84, -0.35)  0.090
H (-1.09, -2.46, -1.33)  0.072
H (-1.13, -4.04, -0.64)  0.093
H (-0.94, -3.22, 1.41)  0.090
C (-2.12, 1.60, -2.30)  -0.169
O (-1.22, 0.67, -1.82)  -0.163
H (-1.63, 2.48, -2.72)  0.092
H (-2.84, 1.15, -2.99)  0.090
H (-2.79, 1.85, -1.49)  0.085
H (-0.70, 0.30, -2.54)  0.086
C (-0.34, 3.67, 0.14)  -0.148
O (-0.09, 3.11, 1.41)  -0.174
H (0.00, 4.71, 0.18)  0.097
H (-0.07, 3.09, -0.74)  0.079
H (-1.43, 3.69, 0.14)  0.083
H (-0.77, 3.54, 1.93)  0.088
C (2.14, -0.78, -1.81)  -0.159
O (1.89, 0.11, -0.79)  -0.169
H (1.21, -1.28, -2.09)  0.075
H (2.60, -0.31, -2.68)  0.091
H (2.81, -1.61, -1.56)  0.091
H (2.70, 0.28, -0.31)  0.093
C (1.20, -1.47, 3.54)  -0.117
O (1.80, -0.91, 2.35)  -0.199
H (1.66, -2.42, 3.81)  0.094
H (1.28, -0.73, 4.33)  0.088
H (0.13, -1.68, 3.40)  0.067
H (2.70, -1.22, 2.28)  0.087
~~~

_What to do_
Please start at the top of the rows above and return each line, ending with the one that has "(-0.09, 3.11,".

_Solution_
1.
C5H20FO5V | ωB97M-V/def2-TZVPD

Last column: Löwdin spin population.
CARTESIAN COORDINATES (ANGSTROEM)
V (1.25, 0.42, -3.19)  3.109
F (1.00, -0.50, -0.57)  -0.111
C (3.99, -3.88, 1.48)  0.042
O (2.56, -3.82, 1.60)  0.221
H (4.42, -3.84, 2.48)  0.015
H (4.33, -4.84, 1.10)  0.021
H (4.24, -3.09, 0.77)  0.000
H (2.29, -3.15, 0.96)  0.000
C (-2.67, -1.58, -3.14)  0.000
O (-1.97, -0.73, -4.05)  0.001
H (-3.35, -1.00, -2.51)  0.000
H (-3.17, -2.37, -3.71)  0.000
H (-1.95, -2.05, -2.48)  0.000
H (-2.53, -0.65, -4.82)  0.000
C (2.10, 3.55, 1.49)  0.037
O (0.94, 3.17, 2.18)  0.163
H (1.84, 4.31, 0.76)  0.018
H (2.65, 4.18, 2.19)  0.014
H (2.70, 2.72, 1.11)  0.000
H (0.72, 2.25, 2.00)  0.000
C (-1.73, -1.45, 3.19)  0.068
O (-0.69, -0.56, 3.06)  0.340
H (-2.53, -0.80, 3.52)  0.019
H (-2.03, -1.76, 2.19)  0.005
H (-1.50, -2.27, 3.88)  0.035
H (-0.22, -0.80, 2.26)  0.000
C (-1.94, 3.02, -1.62)  0.000
O (-0.99, 2.81, -2.65)  0.002
H (-2.87, 2.65, -2.05)  0.000
H (-1.64, 2.54, -0.69)  0.000
H (-2.18, 4.06, -1.40)  0.000
H (-1.07, 3.47, -3.34)  0.000

The total charge is +2. Its expectation value of S² is 6.061. As for the multiplicity: 5. Its energy relative to the best compared isomer or geometry (same formula, charge and spin) is 830.1 kJ/mol. For the total energy, the calculation gives -44124.739 eV. The strongest force on any atom is 0.064 hartree/bohr.

2.
C5H20IN10O5 | ωB97M-V/def2-TZVPD

Last column: Löwdin charge in e.
CARTESIAN COORDINATES (ANGSTROEM)
I (-0.79, 0.56, -0.64)  0.077
C (-0.12, 0.29, 3.95)  -0.807
O (0.18, 0.36, 5.12)  0.023
N (-1.20, -0.19, 3.42)  0.163
N (0.62, 0.91, 3.03)  0.154
H (-1.82, -0.67, 4.06)  0.120
H (-1.14, -0.42, 2.44)  0.036
H (1.31, 1.59, 3.34)  0.116
H (0.26, 0.85, 2.09)  -0.018
C (0.77, -3.33, 1.01)  -0.837
O (0.84, -3.50, -0.18)  0.060
N (0.31, -2.31, 1.65)  0.149
N (1.02, -4.17, 1.92)  0.152
H (0.17, -1.52, 1.03)  -0.011
H (0.42, -2.24, 2.65)  0.105
H (1.14, -5.14, 1.68)  0.126
H (0.72, -3.93, 2.86)  0.114
C (-1.79, -2.72, -3.20)  -0.837
O (-2.36, -3.45, -3.90)  0.063
N (-0.56, -2.30, -3.25)  0.177
N (-2.49, -2.24, -2.18)  0.133
H (-0.34, -1.90, -2.35)  0.018
H (0.10, -2.86, -3.78)  0.120
H (-3.42, -2.58, -1.96)  0.109
H (-2.13, -1.43, -1.70)  -0.092
C (-1.59, 5.24, 0.75)  -0.831
O (-2.14, 6.09, 1.39)  0.017
N (-1.96, 3.99, 0.73)  0.175
N (-0.50, 5.56, 0.13)  0.158
H (-2.70, 3.67, 1.35)  0.120
H (-1.50, 3.34, 0.11)  -0.020
H (-0.36, 6.56, 0.10)  0.117
H (0.01, 4.88, -0.41)  0.108
C (3.03, 0.36, -2.97)  -0.860
O (4.01, 0.42, -3.66)  0.025
N (2.88, 1.20, -2.04)  0.159
N (2.07, -0.50, -2.97)  0.174
H (2.11, 1.26, -1.39)  0.032
H (3.71, 1.79, -1.97)  0.121
H (1.20, -0.44, -2.47)  -0.017
H (2.05, -1.11, -3.77)  0.108

The total charge is -1. Its energy relative to the best compared isomer or geometry (same formula, charge and spin) is 330.2 kJ/mol. For the total energy, the calculation gives -38754.855 eV. The strongest force on any atom is 0.173 hartree/bohr.

3.
C5H20KO5 | ωB97M-V/def2-TZVPD

Last column: Löwdin charge in e.
CARTESIAN COORDINATES (ANGSTROEM)
K (-0.27, 0.29, 0.96)  0.886
C (-1.41, -3.01, -0.44)  -0.144
O (-0.80, -2.54, 0.74)  -0.173
H (-2.48, -2.84, -0.35)  0.090
H (-1.09, -2.46, -1.33)  0.072
H (-1.13, -4.04, -0.64)  0.093
H (-0.94, -3.22, 1.41)  0.090
C (-2.12, 1.60, -2.30)  -0.169
O (-1.22, 0.67, -1.82)  -0.163
H (-1.63, 2.48, -2.72)  0.092
H (-2.84, 1.15, -2.99)  0.090
H (-2.79, 1.85, -1.49)  0.085
H (-0.70, 0.30, -2.54)  0.086
C (-0.34, 3.67, 0.14)  -0.148
O (-0.09, 3.11, 1.41)  -0.174